Who Are You Overlooking?

Here’s the person you’re forgetting…

You have someone in your office today that is at risk for adverse health outcomes.

They are not your patient but they play an important role in your patient’s outcomes.

Over 41 million people care for a family member and that number will continue to rise along with life expectancies. They are the people who bring their care to you, who take notes, who track medications, who often spend hours each week handling appointments, dealing with insurance issues, meeting the physical and emotional needs of their loved ones, preparing special diets, tracking symptoms that warrant follow-up and encouraging engagement in your care plans.

Molecular data from another source follow
~~~
No. 1
Below is one molecule with the formula C3H3N3 in a non-equilibrium geometry, with properties calculated with the ωB97M-V functional and the def2-TZVPD basis.

Values from the calculation:
E (eV): -7625.1886
Molar mass (g mol⁻¹): 81.08
HOMO-LUMO gap (spin up / spin down) (eV): 7.41 / 8.78

ORCA input file:
```
! RIJCOSX wB97M-V def2-TZVPD def2/J DEFGRID3
* xyz 0 1
C 0.01 0.80 0.18
C 1.17 0.20 0.06
N 1.20 -1.25 0.14
N 0.39 -2.07 0.29
N -1.62 -1.10 0.23
C -1.34 0.11 -0.02
H -0.05 1.88 0.13
H 2.15 0.62 -0.11
H -1.91 0.83 -0.63
*
```

=====

No. 2
Below is one molecule with the formula C2H2N2O2 in a non-equilibrium geometry, with properties calculated with the ωB97M-V functional and the def2-TZVPD basis.

Values from the calculation:
E (eV): -9178.8815
Molar mass (g mol⁻¹): 86.05
HOMO-LUMO gap (eV): 10.79

ORCA input file:
```
! RIJCOSX wB97M-V def2-TZVPD def2/J DEFGRID3
* xyz 0 1
C 1.08 -0.11 0.17
C -1.17 -0.65 0.07
H 0.49 1.91 -0.40
H -2.01 -1.34 -0.10
N 0.36 0.98 0.41
N -1.09 0.65 -0.17
O 2.23 -0.28 -0.13
O 0.11 -1.15 0.17
*
```

=====

No. 3
Below is a 10-piece molecular cluster, C53H80BrCl18NO4 overall in a non-equilibrium geometry, with properties calculated with the ωB97M-V functional and the def2-TZVPD basis.

Values from the calculation:
E (eV): -361385.7219
Molar mass (g mol⁻¹): 1513.28
HOMO-LUMO gap (eV): 7.55

ORCA input file:
```
! RIJCOSX wB97M-V def2-TZVPD def2/J DEFGRID3
* xyz 0 1
C 1.15 -2.61 5.03
C 0.83 -2.34 3.77
C 1.82 -1.91 2.77
C 3.10 -2.48 2.77
C 4.04 -2.11 1.82
C 3.77 -1.16 0.85
N 4.69 -0.76 -0.19
C 6.10 -1.08 0.11
C 4.37 -1.46 -1.42
C 3.70 -2.81 -1.38
O 4.68 -0.96 -2.46
C 2.51 -0.56 0.86
C 1.56 -0.94 1.80
C 0.21 -0.29 1.70
O -0.39 0.07 2.68
C -0.28 -0.10 0.29
C 0.69 0.32 -0.64
C 0.36 0.56 -1.99
C 1.41 1.07 -2.94
C 1.21 2.58 -3.20
C 1.05 3.44 -1.94
C 2.29 4.33 -1.66
C -0.20 4.34 -2.10
C -0.80 4.72 -0.73
C -0.05 5.83 -0.03
C 0.20 5.82 1.28
C -0.54 4.98 2.28
C 1.32 6.67 1.84
C -0.96 0.31 -2.37
C -1.92 -0.11 -1.45
C -3.31 -0.33 -2.01
C -3.53 -1.77 -2.51
C -3.38 -1.79 -4.03
O -4.89 -2.10 -2.19
C -1.61 -0.31 -0.09
C -2.70 -0.75 0.86
Br -3.33 0.75 1.96
C -2.36 -2.05 1.63
C -2.82 -2.13 3.08
C 2.09 0.49 -0.12
O 2.80 1.40 -0.43
H 0.51 -3.26 5.62
H 2.03 -2.15 5.46
H -0.21 -2.45 3.48
H 3.32 -3.22 3.53
H 5.01 -2.59 1.88
H 6.28 -2.12 0.39
H 6.51 -0.38 0.84
H 6.66 -0.91 -0.81
H 2.61 -2.72 -1.31
H 3.91 -3.29 -2.33
H 4.09 -3.44 -0.59
H 2.41 0.80 -2.65
H 1.24 0.57 -3.90
H 2.11 2.92 -3.72
H 0.39 2.70 -3.90
H 0.88 2.86 -1.04
H 2.07 5.38 -1.77
H 3.13 4.01 -2.27
H 2.60 4.18 -0.63
H 0.06 5.26 -2.62
H -0.97 3.78 -2.63
H -0.78 3.84 -0.09
H -1.84 5.03 -0.84
H 0.29 6.70 -0.60
H -1.36 4.45 1.81
H -0.89 5.61 3.09
H 0.14 4.21 2.66
H 1.99 7.00 1.05
H 1.91 6.03 2.49
H 0.95 7.52 2.42
H -1.28 0.47 -3.40
H -3.45 0.36 -2.84
H -4.10 -0.12 -1.29
H -2.83 -2.48 -2.04
H -4.24 -1.25 -4.42
H -2.50 -1.21 -4.30
H -3.33 -2.79 -4.44
H -4.94 -3.03 -1.94
H -3.55 -0.98 0.24
H -1.31 -2.29 1.54
H -2.88 -2.85 1.10
H -3.90 -2.17 3.18
H -2.42 -1.33 3.70
H -2.45 -3.07 3.49
~~~

Consider how your patients would be faring without someone at home to meet their needs? Without the dedication and the hours invested by unpaid family carers, early discharges are more dangerous and recoveries more complicated. You’re likely making decisions based on your insights into the level of care that your patient has at home, but at any moment this person might be unable to do what’s needed.

These family caregivers are our invisible health care heroes. We build our health care system assuming their contributions, without seeing or tending to their needs.

Not only do they matter to your patient, but they are also often the ones making, or strongly influencing, decisions.

The family carer is our focus this month as we organize fundraising for NAMI (the National Alliance for Mental Illness) with our January 2020 Mindfulness Retreat in Madison, Wisconsin.

We would like to help you to acknowledge and engage with these often invisible, yet key members of the Circle of Care for your patients. One definition of stress is a condition in which demand outweighs the resources. Even as we discuss the needs and the stress factors for unpaid family caregivers, the reality is that if you’re working in healthcare, you’re overextended and facing challenges and changing pressures everyday yourself! We see what YOU do. And it’s tremendous. So we aim to have your back.

In my years of helping to fill gaps in maternal child health care systems, it was clear that everyone was putting incredible personal resource into caring for one another. I recognize that not all doula models are holding space for the health care team but in ours, we trained to tune in to the system itself. To helping everyone in the room within our scope of practice. Where could we create ease? If we could get something for our clients that would otherwise mean a call to the nurse, we did it. If the nurse needed an anticipating helper to get a better position for Fetal Heart Tones or a kind word on a busy day, we were on it. If we could answer a non-medical question or help our clients to understand how to refine their questions and concerns for their next appointment, we had the provider in mind who likely didn’t have time to discuss the minutia of detailed birth plans. In an urgent situation, if we could sit with an agitated partner while their wife was prepped for surgery, the operating room was going to receive a much calmer, more informed, more trusting person. In the recovery room, when staffing shortages limit the ability to have a new baby reunited with the parent, we see where we can be helpful to fill the gap. When a late preterm baby isn’t feeding well and the next appointment is 3 days from now, we’re helping families get connected to timely resources.

I still support lactation consultants and doulas to train in mindful care of families, and skillful collaborations with healthcare teams. I still help partners to access resources for their family when their spouse is suffering with postpartum anxiety. But maternity care isn’t the only place where there is more demand than resources.

While you’ve been taking care of really critical needs, we’ve seen you too.

Particularly in areas where the need is high and the resources are lean, we can envision ways to better utilize collaboration, to see more clearly how the matrix of care sources can be better mobilized, AND we can bring our attention to sustainability, to creating health and wellbeing out of the ground of health and wellbeing.

There are many parts to a healing system. In our small way at WisdomWay Institute, we’re determined to make it more sustainable for everyone. We’re paying attention to where those hidden resources are, to tip that balance toward caring connection and away from stress and pressure.

We’ll exploring how we can impact health care quality measures not by doing more, but by using overlooked resources. We’re practicing the skills that are needed to create a culture of compassion—not just for those family caregivers, not just for the patients or clients, but for everyone in the room, including yourself. We’re seeing you. We’re paying attention to you. We’re seeing ALL the people who make up a complex system.

We’re solving the obstacles of time, pressure, and ‘one more thing’ because much of what we explore is not doing more, it’s doing differently.

Want to get easy to implement, effortless initiatives to bring big change, in small ways?  We’ve got some great resources to share this month to support the family carer, and to support you! Subscribe and we’ll be sending some kindness, appreciation, and inspiration your way.

Mindfulness as a Stress Buffer for Carers

  • Mindful Based Stress Reduction (MBSR) reduces stress and improves the mental health of those providing care for people with dementia.13
  • Mindfulness based practices decreases depressive symptoms of family caregivers providing care to the chronically ill.4
  • Mindful Based Stress Reduction interventions decreases mood disturbances and stress symptoms of parents caring for children with special needs.4
  • The stress of family caregiving can be reduced by medication mindfulness-based practices.8
  • Mindful Based Stress Reduction practices can help both the caregiver and the “patient” to face the process of illness with presence and calmness.6

Family Caregiving statistics

  • 36% of U.S. adults provided unpaid care to an adult relative or friend in the past year.
  • 8% of caregivers provided unpaid care to a child living with health challenges or disabilities.3
  • 39% of U.S. adults are caregivers.3
  • 4 million Americans care for someone with mental illness1
  • 63% of parents caregiving for adult children with mental illness report not having enough time to meet their own needs.1
  • Caregivers experience higher levels of depression and anxiety with lover levels of self-efficacy and general wellbeing.9
  • Female caregivers are at increased risk for cardio vascular incidents.11
  • Caregivers of cancer patients experience higher levels of depression.10
  • Caregivers of Alzheimer’s patients experience higher levels of anxiety and depression.5
  • Spousal caregivers of patients with Alzheimer’s experienced higher levels of cognitive decline than spousal noncaregivers after 2 years of caregiving.12


1) American Psychological Association (2015). Stress in American:  Paying with our Health National Alliance for Caregiving, National Alliance on Mental Illness, Diehl, S., Niles-Yokum, K.

2) Caldwell, J. (2018).  Circle of Care:  A Guidebook for Mental Health Caregivers Caregiving.com (2017).  Retrieved from https://www.caregiverstress.com/stress-management/daughters-in-the workplace/caregiver-friendly-business-practices/

3) Desilver, D.  (2013).  Pew Research Center.  As population ages, more American become caregivers.

4) Hou, R. J., Wong, S.Y., Yip, B.H., Huung, A.T.F., Lo, H.H., Chan, P.H.S., Kwok, T.C., Tang, W.K., Mercer, S.W., & Ma, S. H.  (2014).  The effects of Mindfulness-Based Stress Reduction Program of the Mental Health of Family Caregivers:  A Randomized Controlled Trial.  Psychotherapy and Psychosomatics, 83(.  45-53.

5) Mahoney, R., Regan, C., Katona, C., & Livingston, G. (2005). Anxiety and depression in family caregivers of people with Alzheimer’s disease: the LASER-AD study. American Journal of Geriatric Psychiatry, 13(9), 795–801.

6) McBee, L.  (2003).  Mindfulness Practice with the Frail Elderly and Their Caregivers:  Changing the Practitioner-Patient Relationship.  Topics in Geriatric Rehabilitation, 19(4).  257-264.

7) Minor, H. G., Carlson, L.e., Mackenzie, M.J., Zernicke, K. & Jones, L.  (2006).  Evaluation of Mindfulness-Based Stress Reduction (MBSR)Program for Caregivers of Children with Chronic Conditions.  Social Work in Health Care, 43(1).  91-109.

8) Oken, B.S., Fonareva, I., Haas, M., Wahbeh, H., Lane, J.B., Zajdel, D., & Amen, A.  (2010).  Pilot Controlled Trian of Mindfulness Meditation and Education for Dementia Caregivers.  The Journal of Alternative and Complementary Medicine.

9) Pinquart, M. & Sorensen, S.  (2003).  Differences between caregivers and noncaregivers in psychological health and physical health:  A meta-analysis.  Journal of Psychology and Aging, 18(2).  250-267.

10) Rivera, H.R.  (2009).  Depression Symptoms in Cancer Caregivers.  Clinical Journals of Oncology Nursing, 13(2) 195-202.

11) Sunmin, L., Colditz, G., Berkman, L.F., & Kawachi, I.  (2003).  Caregiving and risk of coronary heart disease in U.S. women:  A prospective study.  American Journal of Preventive Medicine, (24)2.  113-119.

12) Vitaliano, P. P., Echeverria, D., Yi, J., Phillips, P. E. M., Young, H., & Siegler, I. C. (2005). Psychophysiological Mediators of Caregiver Stress and Differential Cognitive Decline. Psychology and Aging, 20(3), 402-411.

13) Whitebird, R. R., Kreitzer, M.J., Crain, A. L., Lewis, B.A., Hanson, L.R., Enstad, C. J.  (2013).  Mindfulness-Based Stress Reduction for Family Caregivers:  A Randomized Controlled Tiral.  The Gerontologist, 53(4).  676-686.

Karen Laing is a Mindfulness Based Stress Reduction (MBSR) Teacher with experience in trauma and caregiving. She's spent the last 25 years supporting families through major life transitions such as birth and postpartum care.

She founded Birthways over 20 years ago to support expectant families and provide training and support for birthworkers. She created WisdomWay as a means to continue supporting all caregivers with mindfulness-based training and certifications. She speaks nationwide on mindfulness, parenting, caregiving, and mental health.